**Work order**
Now set down the lines underneath up to the one that holds "Cu1 0.000", that line included.

**Source**
........
(1)
Theoretical PXRD pattern
Compound: K2NbCuSe4
Radiation: λ = 1.5418 Å (Cu Kα)
Structure: a structure optimized by DFT (PBE)
Intensities are scaled so that the largest is 100.

Structural model:
Lattice parameters (Å, degrees): 14.003 12.527 7.472 84.89 63.01 32.10
Positions (direct):
K1 0.055 0.055 0.695
K2 0.305 0.305 0.945
K3 0.695 0.695 0.055
K4 0.945 0.945 0.305
Nb1 0.125 0.125 0.125
Nb2 0.875 0.875 0.875
Cu1 0.375 0.375 0.375
Cu2 0.625 0.625 0.625
Se1 0.039 0.325 0.416
Se2 0.280 0.584 0.675
Se3 0.325 0.039 0.720
Se4 0.416 0.720 0.039
Se5 0.584 0.280 0.961
Se6 0.675 0.961 0.280
Se7 0.720 0.416 0.325
Se8 0.961 0.675 0.584

Principal peaks in the range 2θ = 5–70°, in order of rising 2θ:
2θ/deg, Rel. int.
14.5, 61
14.8, 100
25.0, 24
25.4, 31
27.1, 74
30.9, 77
38.2, 48
39.5, 32
41.5, 46
45.4, 23
48.9, 32
50.8, 29


(2)
Theoretical PXRD pattern
Compound: KCu3NiSe4
Radiation: λ = 1.5418 Å (Cu Kα)
Structure: a structure optimized by DFT (PBE)
Intensities are scaled so that the largest is 100.

Structural model:
Lattice parameters (Å, degrees): 6.041 6.041 6.041 90.00 90.00 90.00
Positions (direct):
K1 0.000 0.000 0.000
Cu1 0.000 0.500 0.500
Cu2 0.500 0.000 0.500
Cu3 0.500 0.500 0.000
Ni1 0.500 0.500 0.500
Se1 0.282 0.282 0.718
Se2 0.282 0.718 0.282
Se3 0.718 0.282 0.282
Se4 0.718 0.718 0.718

Principal peaks in the range 2θ = 5–70°, in order of rising 2θ:
2θ/deg, Rel. int.
14.7, 52
20.8, 5
25.5, 96
36.4, 13
42.3, 100
45.0, 13
50.1, 35
54.8, 18
57.0, 7
61.4, 13
65.6, 9
67.6, 10

~~~~~

Calculated X-ray powder pattern of CoPb3O5 for Cu Kα, from a structure optimized by DFT (PBE+U).
No peak broadening, texture or thermal motion is included.

Cell and atoms:
```
data_CoPb3O5
_cell_length_a 5.2656
_cell_length_b 10.2994
_cell_length_c 5.4500
_cell_angle_alpha 90.00
_cell_angle_beta 93.26
_cell_angle_gamma 90.00
_space_group_name_H-M_alt 'P 1 21 1'
_space_group_IT_number 4
_space_group_name_Hall 'P 2yb'
loop_
_atom_site_label
_atom_site_type_symbol
_atom_site_fract_x
_atom_site_fract_y
_atom_site_fract_z
Co1 Co 0.0093 0.0000 0.4609
Pb1 Pb 0.0279 0.2530 0.9686
Pb2 Pb 0.4955 0.2325 0.4979
Pb3 Pb 0.4976 0.9974 0.9815
O1 O 0.0698 0.8305 0.4916
O2 O 0.1464 0.0618 0.1876
O3 O 0.1747 0.0919 0.7028
O4 O 0.3294 0.5283 0.5727
O5 O 0.3820 0.7060 0.0847
```

Peak list (8 most intense, 2θ from 15° to 90°, sorted by position)
index, d_spacing, intensity
1 2 -1, 3.105, 100
1 2 1, 2.993, 91
0 0 2, 2.721, 38
2 0 0, 2.629, 36
0 4 0, 2.575, 33
0 4 2, 1.870, 25
2 0 2, 1.839, 37
3 2 1, 1.564, 15
........

**Outcome**
(1)
Theoretical PXRD pattern
Compound: K2NbCuSe4
Radiation: λ = 1.5418 Å (Cu Kα)
Structure: a structure optimized by DFT (PBE)
Intensities are scaled so that the largest is 100.

Structural model:
Lattice parameters (Å, degrees): 14.003 12.527 7.472 84.89 63.01 32.10
Positions (direct):
K1 0.055 0.055 0.695
K2 0.305 0.305 0.945
K3 0.695 0.695 0.055
K4 0.945 0.945 0.305
Nb1 0.125 0.125 0.125
Nb2 0.875 0.875 0.875
Cu1 0.375 0.375 0.375
Cu2 0.625 0.625 0.625
Se1 0.039 0.325 0.416
Se2 0.280 0.584 0.675
Se3 0.325 0.039 0.720
Se4 0.416 0.720 0.039
Se5 0.584 0.280 0.961
Se6 0.675 0.961 0.280
Se7 0.720 0.416 0.325
Se8 0.961 0.675 0.584

Principal peaks in the range 2θ = 5–70°, in order of rising 2θ:
2θ/deg, Rel. int.
14.5, 61
14.8, 100
25.0, 24
25.4, 31
27.1, 74
30.9, 77
38.2, 48
39.5, 32
41.5, 46
45.4, 23
48.9, 32
50.8, 29


(2)
Theoretical PXRD pattern
Compound: KCu3NiSe4
Radiation: λ = 1.5418 Å (Cu Kα)
Structure: a structure optimized by DFT (PBE)
Intensities are scaled so that the largest is 100.

Structural model:
Lattice parameters (Å, degrees): 6.041 6.041 6.041 90.00 90.00 90.00
Positions (direct):
K1 0.000 0.000 0.000
Cu1 0.000 0.500 0.500